Taking action to conserve Kenya’s forests

Crystal structures, kept here for reference:
=====
Record 1
VASP calculation (PBE) on a relaxed DyGe2Se6 crystal.

Geometry as CIF:
```
data_DyGe2Se6
_symmetry_space_group_name_H-M 'P 1'
_symmetry_Int_Tables_number 1
_cell_length_a 6.654
_cell_length_b 8.705
_cell_length_c 8.705
_cell_angle_alpha 88.13
_cell_angle_beta 83.46
_cell_angle_gamma 83.46
loop_
_symmetry_equiv_pos_as_xyz
'x,y,z'
loop_
_atom_site_label
_atom_site_type_symbol
_atom_site_fract_x
_atom_site_fract_y
_atom_site_fract_z
_atom_site_occupancy
Se1 Se 0.877 0.535 0.722 1
Se2 Se 0.586 0.597 0.146 1
Se3 Se 0.838 0.201 0.024 1
Se4 Se 0.338 0.024 0.201 1
Se5 Se 0.086 0.146 0.597 1
Se6 Se 0.162 0.799 0.976 1
Se7 Se 0.914 0.854 0.403 1
Se8 Se 0.623 0.278 0.465 1
Se9 Se 0.414 0.403 0.854 1
Se10 Se 0.377 0.722 0.535 1
Se11 Se 0.123 0.465 0.278 1
Se12 Se 0.662 0.976 0.799 1
Ge1 Ge 0.200 0.618 0.769 1
Ge2 Ge 0.300 0.231 0.382 1
Ge3 Ge 0.800 0.382 0.231 1
Ge4 Ge 0.700 0.769 0.618 1
Dy1 Dy 0.750 0.887 0.113 1
Dy2 Dy 0.250 0.113 0.887 1
```

Output
- Total moment: 0.0 Bohr magnetons per cell
- DOS at the Fermi energy: 10.61 states/eV per cell
- Formation energy from raw total energies: -0.5537 eV/atom
- Final energy: -4.414 eV per atom



Record 2
VASP calculation (PBE) on a relaxed K2MgW crystal.

Geometry as CIF:
```
data_K2MgW
_symmetry_space_group_name_H-M 'P 1'
_symmetry_Int_Tables_number 1
_cell_length_a 2.886
_cell_length_b 4.719
_cell_length_c 10.090
_cell_angle_alpha 90.00
_cell_angle_beta 90.00
_cell_angle_gamma 90.00
loop_
_symmetry_equiv_pos_as_xyz
'x,y,z'
loop_
_atom_site_label
_atom_site_type_symbol
_atom_site_fract_x
_atom_site_fract_y
_atom_site_fract_z
_atom_site_occupancy
K1 K 0.500 0.500 0.326 1
K2 K 0.000 0.000 0.923 1
W1 W 0.500 0.500 0.669 1
Mg1 Mg 0.000 0.000 0.582 1
```

Output
- Total moment: 1.7 Bohr magnetons per cell
- DOS at the Fermi energy: 3.48 states/eV per cell
- Final energy: -3.135 eV per atom
- E_form: 1.05 eV/atom



Record 3
VASP calculation (PBE) on a relaxed TeAs crystal.

Geometry as CIF:
```
data_TeAs
_symmetry_space_group_name_H-M 'P 1'
_symmetry_Int_Tables_number 1
_cell_length_a 7.328
_cell_length_b 7.328
_cell_length_c 7.328
_cell_angle_alpha 33.06
_cell_angle_beta 33.06
_cell_angle_gamma 33.06
loop_
_symmetry_equiv_pos_as_xyz
'x,y,z'
loop_
_atom_site_label
_atom_site_type_symbol
_atom_site_fract_x
_atom_site_fract_y
_atom_site_fract_z
_atom_site_occupancy
Te1 Te 0.258 0.258 0.258 1
Te2 Te 0.492 0.492 0.492 1
As1 As 0.008 0.008 0.008 1
As2 As 0.742 0.742 0.742 1
```

Output
- Total moment: 0.0 Bohr magnetons per cell
- DOS at the Fermi energy: 2.11 states/eV per cell
- Formation energy from raw total energies: 0.1013 eV/atom
- Final energy: -3.794 eV per atom

----------

Computed, not measured: crystalline CaTlCl at its relaxed geometry at the GGA-PBEsol level of DFT.

Cell lengths 5.0882, 5.0882, 5.0882 Å; angles 60.00, 60.00, 60.00 degrees
Fractional coordinates of all 3 atoms:
Cl1 0.0000 0.0000 0.0000
Ca1 0.2500 0.2500 0.2500
Tl1 0.5000 0.5000 0.5000
=====
Back to the text:

Nature Kenya is working with local communities to restore forests across Kenya through the Community Forest Associations (CFA) model.
By John Mwacharo
Forest cover worldwide continues to diminish at an alarming rate. According to Global Forest Watch, between 2001 and 2022, a total of 459 million hectares (Mha) of tree cover was lost globally, equivalent to a 12% decrease in tree cover since 2000. Further, the Food and Agriculture Organization (FAO) estimates that about 10 million hectares of forests disappear yearly, driven by agriculture expansion, mining, and logging, among other factors.
Statistics indicate that between 2015 and 2022, Africa lost about 4.4 million hectares of forests, mostly in the southern and eastern parts of the continent. According to data from Global Forest Watch, Kenya lost 50,700 hectares (Ha) of humid primary forest between 2002 and 2022, accounting for 14% of the country’s total tree cover loss over that period.
Over the years, BirdLife Partner Nature Kenya has been at the forefront of forest restoration in the country, underpinned by community-driven conservation approaches to secure a more sustainable and resilient future for Kenya’s precious forests. Nature Kenya’s forest landscape restoration work in 2023 targeted degraded forest areas nationwide. The Taita Hills forests, Mount Kenya forest, Aberdare Forest, Tana River Delta, Sabaki River Mouth mangrove forest, and Dakatcha Woodland were among the sites that benefited from this initiative, which saw the restoration of 2,200 hectares.
To realise this, Nature Kenya engaged 54 community groups and sought support from county governments, lead national government agencies such as the Kenya Forest Service and Kenya Forestry Research Institute, and corporations like Kenya Breweries Limited (KBL) and Coca-Cola Beverages Africa- Kenya. Through these initiatives, 100,000 indigenous trees were planted through partnerships with government agencies and 30,000 trees through corporate partnerships.
“In Mount Kenya, over 6,000 ha of forest area was identified to be in urgent need of restoration, reducing the quality of and quantity of water, biodiversity, and climate amelioration. Nature Kenya is collaboratively working with local Community Forest Associations to grow indigenous trees and creating linkages with partners like Kenya Breweries, Coca-Cola Beverages Africa – Kenya Limited, World Land Trust and BirdLife International to scale up the restoration initiative,” says Dr Paul Matiku, Nature Kenya’ Executive Director.

Unrelated to this article: records of crystals >
<<<
Re4Ru | PBE | optimized geometry

Calculated volume: 14.8 Å³ per atom
E_form: 0.047 eV per atom

Lattice parameters (Å, degrees): 6.153 6.153 3.908 90.00 90.00 90.00
Space group I4/m (No. 87)
One atom of each set of equivalent atoms:
Re  0.103  0.702  0.000 x8
Ru  0.000  0.000  0.500 x2

=====

Tb4Pm2Ho | PBE | optimized geometry

Calculated volume: 32.7 Å³ per atom
E_form: 0.050 eV per atom

Lattice parameters (Å, degrees): 16.902 3.549 8.801 90.00 119.85 90.00
Space group C2/m (No. 12)
One atom of each set of equivalent atoms:
Tb  0.144  0.000  0.345 x4
Tb  0.204  0.000  0.792 x4
Pm  0.070  0.500  0.930 x4
Ho  0.000  0.500  0.500 x2

=====

no.,M_tot (μB per formula unit),offset from the most stable computed form (meV per atom)
1,0.0,0.0
2,0.0,0.0
>>>
The article goes on >

Enhancing local livelihoods and capacity
To ease pressure on forests for livelihood, Nature Kenya continues to support sustainable nature-based community enterprises like butterfly farming, beekeeping, ecotourism, and tree nursery establishment, among others. In 2023, communities living adjacent to the Arabuko-Sokoke and Taita Hills forests earned over 15 million KES ($ 110,000) from butterfly farming. In the same period, communities at various sites earned over 2 million shillings by selling tree seedlings. Nature Kenya also pays the communities to plant and care for the trees to supplement such earnings.
Janliza Maza, a 22-year-old woman living in Taita Hills, is a member of the Chawia Youth Group, one of the 13 constituent groups that make up the Dawida Biodiversity Conservation Group (DaBiCo) – Nature Kenya’s Site Support Group (SSG) in the Taita Hills Forests Key Biodiversity Area (KBA). In addition to participating in forest conservation activities under DABICO, Janliza is also involved in butterfly farming. Through the butterfly farming project, Janliza earns about KES 5000 ($36) monthly, thus supplementing her income.
“Chawia forest is our future. We can now contribute to its preservation and, at the same time, improve our livelihoods through butterfly farming. Previously, we used to go into the forest to get firewood, destroying it in the process. Now we are at the frontline of conserving it”, she says with a smile.
“Our indigenous forests were disappearing after being replaced by exotic ones, affecting our water supply. This is why we came together as women and started planting indigenous trees that are our heritage and make our environment better. Nature Kenya has really supported us on this,” notes Honorina Wache, the secretary of Iyale Angamiza Jangwa Seedling Group, an affiliate member of DaBiCo.
On the Eastern slopes of Mount Kenya lies the 4585.7 ha Kangaita Forest, another focal point of Nature Kenya’s conservation activities, restoration efforts are beginning to bear fruit through the Community Forest Associations (CFA) model.
“Today, I am a proud mother because I know my children’s future is green. I have led my community in planting 55,000 trees at Kangaita Forest since 2021 through support from Nature Kenya and partners. The trees are growing, and I am optimistic that the water volumes in the rivers within our catchment will increase and support agriculture, a major economic activity in this region,” says Jane Wanjiku Ndinji- Chairperson of Kangaita Community Forest Association.
“Our bottom-up approach in tree growing ensures ownership from the grassroot. We train communities in nursery establishment and management and support them with certified tree seeds, tubings and other nursery implements. In addition, we purchase tree seedlings from them, engage them in hoeing, planting, weeding, and protecting planted trees to reach maturity,” says Paul Gacheru, the Species and Sites Manager at Nature Kenya.

_Someone pasted materials data at this point_
'''
Entry 1:
The following is a PBE calculation of a relaxed Te6MoW2 crystal, from Alexandria.

Cell lengths 3.5554, 3.5554, 23.3562 Å; angles 90.00, 90.00, 120.00 degrees
Space group P-6m2 (No. 187)
Unique sites:
Te 0.0000 0.0000 0.0775 (multiplicity 2)
Te 0.3333 0.6667 0.2416 (multiplicity 2)
Te 0.3333 0.6667 0.3973 (multiplicity 2)
Mo 0.3333 0.6667 0.0000 (multiplicity 1)
W 0.0000 0.0000 0.3195 (multiplicity 2)

=====

Entry 2:
The following is a PBE calculation of a relaxed Te2MoW crystal, from Alexandria.

Cell lengths 3.3186, 4.4237, 5.4880 Å; angles 90.00, 90.00, 90.00 degrees
Space group Pmmm (No. 47)
Unique sites:
Te 0.0000 0.0000 0.0000 (multiplicity 1)
Te 0.5000 0.0000 0.5000 (multiplicity 1)
Mo 0.0000 0.5000 0.5000 (multiplicity 1)
W 0.5000 0.5000 0.0000 (multiplicity 1)

Results
For the density of states at the Fermi level, the calculation gives 1.022 states/eV per atom.

=====

Entry 3:
The following is a PBE calculation of a relaxed TeMoW2 crystal, from Alexandria.

Cell lengths 3.9247, 3.9247, 8.8966 Å; angles 90.00, 90.00, 90.00 degrees
Space group I-4m2 (No. 119)
Unique sites:
Te 0.0000 0.0000 0.0000 (multiplicity 2)
Mo 0.0000 0.5000 0.2500 (multiplicity 2)
W 0.0000 0.0000 0.5000 (multiplicity 2)
W 0.0000 0.5000 0.7500 (multiplicity 2)

Results
For the density of states at the Fermi level, the calculation gives 0.952 states/eV per atom.

=====

Entry 4:
The following is a PBE calculation of a relaxed TeMoW2 crystal, from Alexandria.

Cell lengths 5.4722, 9.3659, 2.9721 Å; angles 90.00, 112.97, 90.00 degrees
Space group C2/m (No. 12)
Unique sites:
Te 0.0000 0.0000 0.0000 (multiplicity 2)
Mo 0.0000 0.5000 0.0000 (multiplicity 2)
W 0.2500 0.2500 0.5000 (multiplicity 4)

Results
For the density of states at the Fermi level, the calculation gives 0.886 states/eV per atom.

=====

Entry 5:
The following is a PBE calculation of a relaxed TeMoW2 crystal, from Alexandria.

Cell lengths 4.6239, 4.6239, 3.2189 Å; angles 90.00, 90.00, 90.00 degrees
Space group P4/mmm (No. 123)
Unique sites:
Te 0.0000 0.0000 0.0000 (multiplicity 1)
Mo 0.5000 0.5000 0.0000 (multiplicity 1)
W 0.0000 0.5000 0.5000 (multiplicity 2)

Results
For the density of states at the Fermi level, the calculation gives 0.916 states/eV per atom.

=====

Entry 6:
The following is a PBE calculation of a relaxed Te6MoW2 crystal, from Alexandria.

Cell lengths 3.5552, 3.5552, 23.3346 Å; angles 90.00, 90.00, 120.00 degrees
Space group P3m1 (No. 156)
Unique sites:
Te 0.0000 0.0000 0.0000 (multiplicity 1)
Te 0.0000 0.0000 0.1551 (multiplicity 1)
Te 0.0000 0.0000 0.6394 (multiplicity 1)
Te 0.0000 0.0000 0.7953 (multiplicity 1)
Te 0.6667 0.3333 0.3192 (multiplicity 1)
Te 0.6667 0.3333 0.4750 (multiplicity 1)
Mo 0.6667 0.3333 0.0775 (multiplicity 1)
W 0.0000 0.0000 0.3971 (multiplicity 1)
W 0.6667 0.3333 0.7174 (multiplicity 1)

=====

Record order is preserved below.
Formation energy without anion corrections: -148 1058 729 755 684 -148 meV per atom

* * * * *

# 1
'''

In recognition of the local communities’ role, Nature Kenya works to enhance their participation in forest conservation through capacity building. In February 2024, Nature Kenya supported developing and reviewing Forest Management Plans for 12 Community Forest Associations (CFAs). This support ensures communities have a voice in managing their forests and promotes sustainable practices that balance conservation and livelihood needs. Further, Nature Kenya partnered with the Kenya Forest Service (KFS) to convene a national dialogue for CFAs. This dialogue developed a national action plan for mainstreaming restoration into participatory forest management, incorporating local perspectives and expertise in forest management.
“Our Participatory Forest Management Plan (PFMP) for 2018- 2023 targeted 256 Ha of degraded forest for restoration. I am happy to report that with support from Nature Kenya and other partners, we have rehabilitated 275 Ha. This has surpassed our target for the five years. The trees are growing and are well established in some areas“, says Wilson Thige, Chairperson of Hombe CFA in Mount Kenya.
In Dakatcha Woodland, in Southern Kenya, Nature Kenya supported communities in establishing eight Indigenous Community Conserved Areas (ICCAs) covering 32,000 acres. The ICCAs in Dakatcha are communal forested land designated for biodiversity conservation. This innovative approach empowers local communities to become stewards of their natural heritage
Advocacy and policy review
Nature Kenya continues playing a key role in advocacy to safeguard forests. In 2023, Nature Kenya provided an objection to the Environmental and Social Impact Assessment (ESIA) study report for the proposed construction of a road traversing the ecologically important Aberdare Forest Reserve in Central Kenya. Expressing concerns about the issuance of an Environmental Impact Assessment (EIA) license by the National Environmental Management Authority (NEMA), Nature Kenya’s efforts have catalysed the Conservation Alliance of Kenya to appeal with the National Environment Tribunal, emphasising the need to protect this ecologically significant region. In addition, Nature Kenya objected to the Ministry of Environment, Climate Change, and Forestry’s decision to lift a logging ban in the country.
“With the Kenya government pledging to restore 5.1 million ha of forest by 2030, the tree planting opportunity is vast and requires everyone’s support. There is enough work for everybody,” concludes Dr Matiku.
Header Image: A community member engaged in forest restoration activities in Taita Hills © Gilbay Obunga

“Nature Kenya is collaboratively working with local Community Forest Associations to grow indigenous trees and creating linkages with partners”
Dr Paul Matiku, Executive Director, Nature Kenya